Your job: quote the whole of the data further below without additions.

First-principles (PBE) data for an optimized crystal structure of HfZr2Ni2As4Pd2, as listed in the Open Quantum Materials Database.

The space group is Pm (No. 6) and the conventional cell measures 6.5640, 3.8816 and 7.4600 Å, with angles of 90.00, 90.35 and 90.00 degrees. The inequivalent atoms are Hf at (0.0000, 0.0000, 0.0000), Zr at (0.0647, 0.5000, 0.6249), Zr at (0.5566, 0.5000, 0.4807), Ni at (0.1500, 0.5000, 0.2476), Ni at (0.6754, 0.5000, 0.8591), As at (0.2823, 0.0000, 0.4008), As at (0.2909, 0.5000, 0.9526), As at (0.7508, 0.5000, 0.1665), As at (0.7704, 0.0000, 0.6926), Pd at (0.3808, 0.0000, 0.7507) and Pd at (0.8894, 0.0000, 0.3658).

Its volume is 190.1 Å³/f.u. Its relative energy among the computed polymorphs is 16 meV/atom. The crystal system is monoclinic.

=====

Version one
Here is a relaxed structure of KMnBr3 from Alexandria via LeMat-Bulk. Energies are from GGA-PBEsol.

Its crystal system is orthorhombic. The calculated density comes out at 4.02 g/cm3.

Geometry as CIF:
```
data_KMnBr3
_chemical_formula_sum 'K4 Mn4 Br12'
_cell_length_a 9.193
_cell_length_b 3.997
_cell_length_c 15.001
_cell_angle_alpha 90.00
_cell_angle_beta 90.00
_cell_angle_gamma 90.00
_symmetry_space_group_name_H-M 'P n m a'
_symmetry_Int_Tables_number 62
loop_
_symmetry_equiv_pos_as_xyz
'x,y,z'
'-x,-y,-z'
'-x+1/2,-y,z+1/2'
'x+1/2,y,-z+1/2'
'x+1/2,-y+1/2,-z+1/2'
'-x+1/2,y+1/2,z+1/2'
'-x,y+1/2,-z'
'x,-y+1/2,z'
loop_
_atom_site_label
_atom_site_fract_x
_atom_site_fract_y
_atom_site_fract_z
_atom_site_occupancy
K1 0.064 0.250 0.175 1
Mn1 0.164 0.750 0.444 1
Br1 0.023 0.750 0.601 1
Br2 0.171 0.750 0.006 1
Br3 0.219 0.250 0.791 1
```

---

Version two
Here is a relaxed structure of KMnBr3 from Alexandria via LeMat-Bulk. Energies are from GGA-PBEsol.

Its crystal system is cubic. The calculated density comes out at 3.83 g/cm3.

Geometry as CIF:
```
data_KMnBr3
_chemical_formula_sum 'K1 Mn1 Br3'
_cell_length_a 5.251
_cell_length_b 5.251
_cell_length_c 5.251
_cell_angle_alpha 90.00
_cell_angle_beta 90.00
_cell_angle_gamma 90.00
_symmetry_space_group_name_H-M 'P m -3 m'
_symmetry_Int_Tables_number 221
_symmetry_space_group_name_Hall '-P 4 2 3'
loop_
_atom_site_label
_atom_site_fract_x
_atom_site_fract_y
_atom_site_fract_z
_atom_site_occupancy
K1 0.000 0.000 0.000 1
Mn1 0.500 0.500 0.500 1
Br1 0.000 0.500 0.500 1
```

---

Energy relative to the most stable one, in meV per atom: version one 0; version two 50

---

Version one
Here is a relaxed structure of KMn2Br from Alexandria via LeMat-Bulk. Energies are from GGA-PBEsol.

Its crystal system is tetragonal. The calculated density comes out at 3.63 g/cm3. The calculation puts the density of states at the Fermi level at 3.6 states/eV/f.u.

Geometry as CIF:
```
data_KMn2Br
_chemical_formula_sum 'K2 Mn4 Br2'
_cell_length_a 5.320
_cell_length_b 5.320
_cell_length_c 7.392
_cell_angle_alpha 90.00
_cell_angle_beta 90.00
_cell_angle_gamma 90.00
_symmetry_space_group_name_H-M 'I -4 m 2'
_symmetry_Int_Tables_number 119
_symmetry_space_group_name_Hall 'I -4 -2'
loop_
_atom_site_label
_atom_site_fract_x
_atom_site_fract_y
_atom_site_fract_z
_atom_site_occupancy
K1 0.000 0.000 0.000 1
Mn1 0.000 0.000 0.500 1
Mn2 0.000 0.500 0.250 1
Br1 0.000 0.500 0.750 1
```

---

Version two
Here is a relaxed structure of KMn2Br from Alexandria via LeMat-Bulk. Energies are from GGA-PBEsol.

Its crystal system is orthorhombic. The calculated density comes out at 3.59 g/cm3. The calculation puts the density of states at the Fermi level at 3.6 states/eV/f.u.

Geometry as CIF:
```
data_KMn2Br
_chemical_formula_sum 'K2 Mn4 Br2'
_cell_length_a 3.191
_cell_length_b 6.358
_cell_length_c 10.445
_cell_angle_alpha 90.00
_cell_angle_beta 90.00
_cell_angle_gamma 90.00
_symmetry_space_group_name_H-M 'I m m 2'
_symmetry_Int_Tables_number 44
loop_
_symmetry_equiv_pos_as_xyz
'x,y,z'
'-x,-y,z'
'-x,y,z'
'x,-y,z'
'x+1/2,y+1/2,z+1/2'
'-x+1/2,-y+1/2,z+1/2'
'-x+1/2,y+1/2,z+1/2'
'x+1/2,-y+1/2,z+1/2'
loop_
_atom_site_label
_atom_site_fract_x

First-principles (PBE) data for an optimized crystal structure of HfZr2Ni2As4Pd2, as listed in the Open Quantum Materials Database.

The space group is Pm (No. 6) and the conventional cell measures 6.5640, 3.8816 and 7.4600 Å, with angles of 90.00, 90.35 and 90.00 degrees. The inequivalent atoms are Hf at (0.0000, 0.0000, 0.0000), Zr at (0.0647, 0.5000, 0.6249), Zr at (0.5566, 0.5000, 0.4807), Ni at (0.1500, 0.5000, 0.2476), Ni at (0.6754, 0.5000, 0.8591), As at (0.2823, 0.0000, 0.4008), As at (0.2909, 0.5000, 0.9526), As at (0.7508, 0.5000, 0.1665), As at (0.7704, 0.0000, 0.6926), Pd at (0.3808, 0.0000, 0.7507) and Pd at (0.8894, 0.0000, 0.3658).

Its volume is 190.1 Å³/f.u. Its relative energy among the computed polymorphs is 16 meV/atom. The crystal system is monoclinic.

=====

Version one
Here is a relaxed structure of KMnBr3 from Alexandria via LeMat-Bulk. Energies are from GGA-PBEsol.

Its crystal system is orthorhombic. The calculated density comes out at 4.02 g/cm3.

Geometry as CIF:
```
data_KMnBr3
_chemical_formula_sum 'K4 Mn4 Br12'
_cell_length_a 9.193
_cell_length_b 3.997
_cell_length_c 15.001
_cell_angle_alpha 90.00
_cell_angle_beta 90.00
_cell_angle_gamma 90.00
_symmetry_space_group_name_H-M 'P n m a'
_symmetry_Int_Tables_number 62
loop_
_symmetry_equiv_pos_as_xyz
'x,y,z'
'-x,-y,-z'
'-x+1/2,-y,z+1/2'
'x+1/2,y,-z+1/2'
'x+1/2,-y+1/2,-z+1/2'
'-x+1/2,y+1/2,z+1/2'
'-x,y+1/2,-z'
'x,-y+1/2,z'
loop_
_atom_site_label
_atom_site_fract_x
_atom_site_fract_y
_atom_site_fract_z
_atom_site_occupancy
K1 0.064 0.250 0.175 1
Mn1 0.164 0.750 0.444 1
Br1 0.023 0.750 0.601 1
Br2 0.171 0.750 0.006 1
Br3 0.219 0.250 0.791 1
```

---

Version two
Here is a relaxed structure of KMnBr3 from Alexandria via LeMat-Bulk. Energies are from GGA-PBEsol.

Its crystal system is cubic. The calculated density comes out at 3.83 g/cm3.

Geometry as CIF:
```
data_KMnBr3
_chemical_formula_sum 'K1 Mn1 Br3'
_cell_length_a 5.251
_cell_length_b 5.251
_cell_length_c 5.251
_cell_angle_alpha 90.00
_cell_angle_beta 90.00
_cell_angle_gamma 90.00
_symmetry_space_group_name_H-M 'P m -3 m'
_symmetry_Int_Tables_number 221
_symmetry_space_group_name_Hall '-P 4 2 3'
loop_
_atom_site_label
_atom_site_fract_x
_atom_site_fract_y
_atom_site_fract_z
_atom_site_occupancy
K1 0.000 0.000 0.000 1
Mn1 0.500 0.500 0.500 1
Br1 0.000 0.500 0.500 1
```

---

Energy relative to the most stable one, in meV per atom: version one 0; version two 50

---

Version one
Here is a relaxed structure of KMn2Br from Alexandria via LeMat-Bulk. Energies are from GGA-PBEsol.

Its crystal system is tetragonal. The calculated density comes out at 3.63 g/cm3. The calculation puts the density of states at the Fermi level at 3.6 states/eV/f.u.

Geometry as CIF:
```
data_KMn2Br
_chemical_formula_sum 'K2 Mn4 Br2'
_cell_length_a 5.320
_cell_length_b 5.320
_cell_length_c 7.392
_cell_angle_alpha 90.00
_cell_angle_beta 90.00
_cell_angle_gamma 90.00
_symmetry_space_group_name_H-M 'I -4 m 2'
_symmetry_Int_Tables_number 119
_symmetry_space_group_name_Hall 'I -4 -2'
loop_
_atom_site_label
_atom_site_fract_x
_atom_site_fract_y
_atom_site_fract_z
_atom_site_occupancy
K1 0.000 0.000 0.000 1
Mn1 0.000 0.000 0.500 1
Mn2 0.000 0.500 0.250 1
Br1 0.000 0.500 0.750 1
```

---

Version two
Here is a relaxed structure of KMn2Br from Alexandria via LeMat-Bulk. Energies are from GGA-PBEsol.

Its crystal system is orthorhombic. The calculated density comes out at 3.59 g/cm3. The calculation puts the density of states at the Fermi level at 3.6 states/eV/f.u.

Geometry as CIF:
```
data_KMn2Br
_chemical_formula_sum 'K2 Mn4 Br2'
_cell_length_a 3.191
_cell_length_b 6.358
_cell_length_c 10.445
_cell_angle_alpha 90.00
_cell_angle_beta 90.00
_cell_angle_gamma 90.00
_symmetry_space_group_name_H-M 'I m m 2'
_symmetry_Int_Tables_number 44
loop_
_symmetry_equiv_pos_as_xyz
'x,y,z'
'-x,-y,z'
'-x,y,z'
'x,-y,z'
'x+1/2,y+1/2,z+1/2'
'-x+1/2,-y+1/2,z+1/2'
'-x+1/2,y+1/2,z+1/2'
'x+1/2,-y+1/2,z+1/2'
loop_
_atom_site_label
_atom_site_fract_x